I think it’s always important as an actor, and more importantly as a mentor, to be completely transparent. And today I want to chat about epic fails. Epic fails of the life and baby and acting variety.
I have been struggling to keep up.
I always considered myself a doer, rather than a gonna, but recently I’ve absolutely struggled to do everything I said I would. I even had to apologise to a client for being late coming back with notes and that’s so unlike me.
When the going gets tough….
“Apparently” the lyrics tell us “the tough get going“ (if you’re old enough to remember that song!). But what do you do when you simply can’t? What do you do if you’re just too tired, too broken, too down, too shattered etc? You can’t always just toughen up and keep going. And sometimes that’s the exact opposite of what your mind and body need. Sometimes you just need to stop.
Someone pasted materials data at this point:
********
1.
# V2O5, optimized geometry, DFT PBE+U
data_V2O5
_chemical_formula_sum 'V30 O75'
_symmetry_space_group_name_H-M 'P 1'
_symmetry_Int_Tables_number 1
_cell_length_a 12.075
_cell_length_b 12.916
_cell_length_c 13.134
_cell_angle_alpha 89.33
_cell_angle_beta 81.22
_cell_angle_gamma 87.61
loop_
_symmetry_equiv_pos_as_xyz
'x,y,z'
loop_
_atom_site_label
_atom_site_type_symbol
_atom_site_fract_x
_atom_site_fract_y
_atom_site_fract_z
V1 V 0.000 0.000 0.000
V2 V 0.000 0.237 0.139
V3 V 0.053 0.981 0.604
V4 V 0.067 0.916 0.351
V5 V 0.092 0.493 0.808
V6 V 0.136 0.594 0.031
V7 V 0.155 0.391 0.622
V8 V 0.226 0.836 0.934
V9 V 0.232 0.868 0.665
V10 V 0.281 0.237 0.068
V11 V 0.306 0.082 0.278
V12 V 0.350 0.576 0.188
V13 V 0.353 0.235 0.458
V14 V 0.402 0.963 0.468
V15 V 0.461 0.806 0.208
V16 V 0.505 0.398 0.081
V17 V 0.516 0.789 0.950
V18 V 0.530 0.891 0.641
V19 V 0.601 0.555 0.468
V20 V 0.610 0.241 0.906
V21 V 0.615 0.302 0.471
V22 V 0.618 0.132 0.681
V23 V 0.627 0.712 0.724
V24 V 0.659 0.824 0.390
V25 V 0.882 0.864 0.191
V26 V 0.884 0.274 0.382
V27 V 0.896 0.632 0.695
V28 V 0.904 0.466 0.041
V29 V 0.909 0.739 0.458
V30 V 0.949 0.215 0.624
O1 O 0.000 0.127 0.066
O2 O 0.001 0.549 0.089
O3 O 0.006 0.964 0.487
O4 O 0.012 0.603 0.770
O5 O 0.037 0.777 0.382
O6 O 0.057 0.379 0.751
O7 O 0.069 0.870 0.678
O8 O 0.080 0.267 0.596
O9 O 0.100 0.470 0.547
O10 O 0.135 0.938 0.002
O11 O 0.136 0.283 0.119
O12 O 0.151 0.722 0.973
O13 O 0.166 0.510 0.919
O14 O 0.189 0.012 0.316
O15 O 0.195 0.998 0.581
O16 O 0.211 0.487 0.708
O17 O 0.222 0.594 0.133
O18 O 0.238 0.872 0.800
O19 O 0.255 0.751 0.623
O20 O 0.280 0.206 0.354
O21 O 0.283 0.198 0.951
O22 O 0.285 0.323 0.547
O23 O 0.316 0.131 0.147
O24 O 0.326 0.875 0.427
O25 O 0.335 0.475 0.263
O26 O 0.367 0.814 0.960
O27 O 0.371 0.340 0.070
O28 O 0.373 0.903 0.190
O29 O 0.376 0.120 0.515
O30 O 0.380 0.692 0.249
O31 O 0.381 0.920 0.613
O32 O 0.422 0.041 0.328
O33 O 0.431 0.546 0.054
O34 O 0.466 0.557 0.475
O35 O 0.480 0.795 0.725
O36 O 0.490 0.289 0.416
O37 O 0.518 0.538 0.123
O38 O 0.537 0.162 0.981
O39 O 0.539 0.771 0.084
O40 O 0.540 0.017 0.697
O41 O 0.545 0.836 0.300
O42 O 0.559 0.328 0.165
O43 O 0.559 0.906 0.487
O44 O 0.561 0.686 0.861
O45 O 0.570 0.226 0.779
O46 O 0.581 0.890 0.904
O47 O 0.588 0.370 0.957
O48 O 0.615 0.620 0.639
O49 O 0.617 0.196 0.557
O50 O 0.621 0.412 0.537
O51 O 0.632 0.701 0.426
O52 O 0.654 0.504 0.356
O53 O 0.666 0.828 0.639
O54 O 0.734 0.282 0.376
O55 O 0.744 0.096 0.694
O56 O 0.746 0.863 0.266
O57 O 0.761 0.197 0.912
O58 O 0.767 0.690 0.760
O59 O 0.777 0.514 0.054
O60 O 0.779 0.175 0.006
O61 O 0.790 0.829 0.444
O62 O 0.863 0.525 0.648
O63 O 0.864 0.285 0.704
O64 O 0.875 0.628 0.420
O65 O 0.891 0.922 0.061
O66 O 0.897 0.209 0.498
O67 O 0.909 0.333 0.106
O68 O 0.931 0.389 0.384
O69 O 0.933 0.720 0.590
O70 O 0.934 0.746 0.180
O71 O 0.958 0.454 0.914
O72 O 0.961 0.204 0.270
O73 O 0.971 0.940 0.254
O74 O 0.975 0.085 0.672
O75 O 0.982 0.018 0.882
# Formation enthalpy at 0 K   -1.78 eV/atom
********
The entry goes on:
Stop, in the name of love….. (I really could sing my way through this blog post.) Ha. Okay I’ll stop with the 60’s and 80’s music references and get back to my epic failings.
I don’t always push my mentees to keep going hard. In fact, I do quite the opposite – as should you. I am the first to recognise when they’re attempting too much, or their goals are too widespread, or they’re lacking focus because they’re concentrating on too many things at once and it’s messing with their minds.
But rarely do I take stock of my own acting business and what I have on. And at the end of the year I hit an all time crazy period and it was just too much! I came down from a very high height and I crashed. And in the interests of sharing, I’m here to chat about managing it all! Or NOT managing it all, as has been the case with me.
See I got myself into a terrible tizz. Granted I was pregnant with baby number 2, and that was always going to make me tired, grumpy and full of chocolate cake, but I never anticipated how life would change, and how frustrated I would become.
With baby number one, I felt I could manage. I had a good sleeper and he quickly moved into model baby mode, casually sleeping 3 hours a day during the day. I could do my voiceovers at home, and various other actory things, and then spend quality time with that bundle of cuteness the rest of the day. And as he got older, I would move my schedule around his, still managing to audition, book work, take on acting clients and even continue writing blogs.

But then at the end of last year while heavily pregnant, I decided it would be a good idea to make a film, run a film festival, have a baby and move house. ALERT!!! ALERT!!!
I am not even kidding. Even as I type that I realise how bloody stupid it sounds. Why would anyone in their goddarn right mind even consider such stupidity! I actually think it’s the most ridiculous few months I’ve ever had outside of final university exams. And after it all finished and I had the baby and moved house, I swiftly fell apart. And since then I literally haven’t been able to do a single bloody thing – apart from keep my kids alive (phew).
The second baby takes everything you have. They are wonderful, yes. But they are also milk and time sucking vampires who don’t let you put them down for a moment. And whilst I love my kids (no really I do), I am also a woman who needs my own time, space and career. And hence the epic crash that hit me so hard, I think I’m only just starting to surface, as baby two comes around to being nearly three months old.
I have had to give into mumhood completely and abandon my New Years goals of smashing out lots of epic blogs, writing a new acting course and completing draft 10,000 on my feature. I barely do much more than make a coffee in the morning, and put formula in my cups of tea and tea in my cups of water. The mum slog is real. And ambition has had to take a side step to the reality of raising tiny humans. And I find that really hard and sometimes really frustrating.
But here’s the thing. Along with less time than ever, and an eternal wrestle with going to bed early over catching some quality time with my better half (and all the Netflix shows I am desperate to watch), there are some upsides to not being able to do what I want, whenever I want.
Suddenly I have to have steely focus like superwoman to get things done in record speed; I have to say no to things like casual coffees just for the hell of it (it means if we do have coffee I rooooolllly like you. A. LOT.); I only do those things that will actually get me to achieve my goals, rather than phaffing about with maybe this and maybe that; and I know exactly what I want!
Next to the piece, the page also holds crystal structures
-- begin --
(1)
Density functional theory data (PBE+U) for a relaxed structure of K8MgCo2Mo8O30.

Values from the calculation:
E: -6.333 eV per atom
ΔE_f: -2.04 eV/atom

CIF file:
```
data_K8MgCo2Mo8O30
_cell_length_a 8.348
_cell_length_b 10.494
_cell_length_c 10.531
_cell_angle_alpha 60.37
_cell_angle_beta 88.16
_cell_angle_gamma 89.16
_symmetry_space_group_name_H-M 'P 1'
_symmetry_Int_Tables_number 1
_symmetry_space_group_name_Hall 'P 1'
loop_
_atom_site_label
_atom_site_type_symbol
_atom_site_fract_x
_atom_site_fract_y
_atom_site_fract_z
_atom_site_occupancy
K1 K 0.000 0.000 0.000 1
K2 K 0.001 0.387 0.365 1
K3 K 0.361 0.725 0.327 1
K4 K 0.701 0.135 0.218 1
K5 K 0.717 0.658 0.986 1
K6 K 0.728 0.387 0.715 1
K7 K 0.838 0.717 0.328 1
K8 K 0.988 0.784 0.609 1
Mg1 Mg 0.056 0.057 0.675 1
Co1 Co 0.381 0.384 0.997 1
Co2 Co 0.383 0.048 0.670 1
Mo1 Mo 0.001 0.393 0.983 1
Mo2 Mo 0.206 0.069 0.317 1
Mo3 Mo 0.223 0.713 0.991 1
Mo4 Mo 0.227 0.382 0.675 1
Mo5 Mo 0.501 0.386 0.332 1
Mo6 Mo 0.501 0.718 0.659 1
Mo7 Mo 0.511 0.046 0.983 1
Mo8 Mo 0.725 0.050 0.632 1
O1 O 0.071 0.943 0.309 1
O2 O 0.072 0.712 0.116 1
O3 O 0.076 0.498 0.558 1
O4 O 0.164 0.078 0.484 1
O5 O 0.190 0.249 0.148 1
O6 O 0.194 0.544 0.977 1
O7 O 0.207 0.375 0.855 1
O8 O 0.209 0.196 0.699 1
O9 O 0.210 0.884 0.815 1
O10 O 0.308 0.729 0.590 1
O11 O 0.309 0.452 0.346 1
O12 O 0.317 0.972 0.047 1
O13 O 0.403 0.006 0.318 1
O14 O 0.415 0.702 0.059 1
O15 O 0.420 0.448 0.604 1
O16 O 0.507 0.365 0.170 1
O17 O 0.516 0.553 0.837 1
O18 O 0.517 0.226 0.968 1
O19 O 0.530 0.207 0.498 1
O20 O 0.536 0.877 0.684 1
O21 O 0.563 0.063 0.804 1
O22 O 0.652 0.708 0.540 1
O23 O 0.655 0.512 0.315 1
O24 O 0.659 0.934 0.112 1
O25 O 0.789 0.033 0.480 1
O26 O 0.864 0.199 0.619 1
O27 O 0.870 0.912 0.774 1
O28 O 0.898 0.397 0.131 1
O29 O 0.910 0.540 0.831 1
O30 O 0.912 0.240 0.984 1
```



(2)
Density functional theory data (PBE+U) for a relaxed structure of K8MgCo2Mo8O30.

Values from the calculation:
E: -6.325 eV per atom
ΔE_f: -2.03 eV/atom

CIF file:
```
data_K8MgCo2Mo8O30
_cell_length_a 8.763
_cell_length_b 10.676
_cell_length_c 10.678
_cell_angle_alpha 119.99
_cell_angle_beta 90.02
_cell_angle_gamma 90.00
_symmetry_space_group_name_H-M 'P 1'
_symmetry_Int_Tables_number 1
_symmetry_space_group_name_Hall 'P 1'
loop_
_atom_site_label
_atom_site_type_symbol
_atom_site_fract_x
_atom_site_fract_y
_atom_site_fract_z
_atom_site_occupancy
K1 K 0.000 0.000 0.000 1
K2 K 0.000 0.239 0.603 1
K3 K 0.000 0.602 0.364 1
K4 K 0.213 0.280 0.322 1
K5 K 0.309 0.358 0.984 1
K6 K 0.309 0.864 0.245 1
K7 K 0.310 0.619 0.739 1
K8 K 0.669 0.280 0.322 1
Mg1 Mg 0.506 0.946 0.656 1
Co1 Co 0.636 0.613 0.989 1
Co2 Co 0.863 0.947 0.656 1
Mo1 Mo 0.008 0.613 0.989 1
Mo2 Mo 0.160 0.947 0.656 1
Mo3 Mo 0.518 0.289 0.653 1
Mo4 Mo 0.518 0.602 0.314 1
Mo5 Mo 0.518 0.949 0.000 1
Mo6 Mo 0.788 0.613 0.673 1
Mo7 Mo 0.789 0.298 0.990 1
Mo8 Mo 0.789 0.929 0.305 1
O1 O 0.097 0.766 0.996 1
O2 O 0.098 0.468 0.837 1
O3 O 0.098 0.607 0.135 1
O4 O 0.169 0.094 0.838 1
-- stop --
Did you hear that? I know exactly what I want. Ever want something done well – they say you give it to a busy person. I say, give it to a mum. Chances are they’ll do it twice as fast as anyone. Watch a mum (or dad) at a casting when their kid is waiting for them. On it like a rocket!
Anyway, after the house move I had a day where I just burst into tears and wanted to throw myself on the bathroom floor for a few hours and sob. Eventually I got it together and I let my inner self know it was okay. Failing and falling apart in equal proportions was okay. And it is okay!
It’s okay that I’m only human and I can’t do everything.
It’s okay that I mostly do things at a basic level, and anything requiring clever analytical thought probably won’t be done for months to come.
It’s okay that I’m not nailing parenting every day. Kids are resilient.
It’s okay that I put the TV on sometimes. Those dishes won’t wash themselves you know.
It’s okay that I drink wine, almost-every-single-night.
It’s okay that sometimes I take days to reply to whatsapp messages and emails. If people like me, they’ll wait.
It’s okay that I’m not even brushing my hair 5 days out of 7. No one in the park will care.
What’s not okay, is beating myself up a million times about the lack of sh*t I’m getting done and how pathetic I am for it. It’s not okay to give myself grief about enjoying a glass of wine after an exhausting day (and yes I am breastfeeding my baby!), or that I now eat more cake than Amy Adams baked in Julia and Julia.
-- Next to the article, the page also holds materials data --
A plane-wave DFT calculation with PBE was carried out for a relaxed structure of Mg2SnSe4.

Summary:
- E (MP2020): -4.148 eV per atom

```
data_Mg2SnSe4
_chemical_formula_sum 'Mg8 Sn4 Se16'
_cell_length_a 13.769
_cell_length_b 8.070
_cell_length_c 6.568
_cell_angle_alpha 90.00
_cell_angle_beta 90.00
_cell_angle_gamma 90.00
_space_group_name_H-M_alt 'P n m a'
_space_group_IT_number 62
loop_
_space_group_symop_operation_xyz
'x,y,z'
'-x,-y,-z'
'-x+1/2,-y,z+1/2'
'x+1/2,y,-z+1/2'
'x+1/2,-y+1/2,-z+1/2'
'-x+1/2,y+1/2,z+1/2'
'-x,y+1/2,-z'
'x,-y+1/2,z'
loop_
_atom_site_label
_atom_site_type_symbol
_atom_site_fract_x
_atom_site_fract_y
_atom_site_fract_z
Mg1 Mg 0.000 0.000 0.000
Mg2 Mg 0.231 0.250 0.497
Sn1 Sn 0.089 0.750 0.418
Se1 Se 0.078 0.250 0.758
Se2 Se 0.093 0.750 0.804
Se3 Se 0.171 0.506 0.234
```

A plane-wave DFT calculation with PBE was carried out for a relaxed structure of Lu6AgTe2.

Summary:
- E (MP2020): -4.739 eV per atom

```
data_Lu6AgTe2
_chemical_formula_sum 'Lu24 Ag4 Te8'
_cell_length_a 21.469
_cell_length_b 3.983
_cell_length_c 11.382
_cell_angle_alpha 90.00
_cell_angle_beta 90.00
_cell_angle_gamma 90.00
_space_group_name_H-M_alt 'P n m a'
_space_group_IT_number 62
loop_
_space_group_symop_operation_xyz
'x,y,z'
'-x,-y,-z'
'-x+1/2,-y,z+1/2'
'x+1/2,y,-z+1/2'
'x+1/2,-y+1/2,-z+1/2'
'-x+1/2,y+1/2,z+1/2'
'-x,y+1/2,-z'
'x,-y+1/2,z'
loop_
_atom_site_label
_atom_site_type_symbol
_atom_site_fract_x
_atom_site_fract_y
_atom_site_fract_z
Lu1 Lu 0.009 0.250 0.111
Lu2 Lu 0.029 0.750 0.379
Lu3 Lu 0.109 0.250 0.818
Lu4 Lu 0.140 0.750 0.061
Lu5 Lu 0.160 0.250 0.529
Lu6 Lu 0.232 0.750 0.741
Ag1 Ag 0.076 0.750 0.634
Te1 Te 0.127 0.250 0.268
Te2 Te 0.237 0.250 0.957
```

A plane-wave DFT calculation with PBE was carried out for a relaxed structure of RbPrTe4.

Summary:
- E (MP2020): -4.299 eV per atom

```
data_RbPrTe4
_chemical_formula_sum 'Rb2 Pr2 Te8'
_cell_length_a 6.991
_cell_length_b 6.991
_cell_length_c 9.352
_cell_angle_alpha 90.00
_cell_angle_beta 90.00
_cell_angle_gamma 90.00
_space_group_name_H-M_alt 'P 4/n b m'
_space_group_IT_number 125
loop_
_space_group_symop_operation_xyz
'x,y,z'
'-x,-y,-z'
'-y+1/2,x,z'
'y+1/2,-x,-z'
'-x+1/2,-y+1/2,z'
'x+1/2,y+1/2,-z'
'y,-x+1/2,z'
'-y,x+1/2,-z'
'x,-y+1/2,-z'
'-x,y+1/2,z'
'-y+1/2,-x+1/2,-z'
'y+1/2,x+1/2,z'
'-x+1/2,y,-z'
'x+1/2,-y,z'
'y,x,-z'
'-y,-x,z'
loop_
_atom_site_label
_atom_site_type_symbol
_atom_site_fract_x
_atom_site_fract_y
_atom_site_fract_z
Rb1 Rb 0.250 0.250 0.000
Pr1 Pr 0.250 0.250 0.500
Te1 Te 0.107 0.607 0.294
```

A plane-wave DFT calculation with PBE was carried out for a relaxed structure of Tm4CdPt.

```
data_Tm4CdPt
_chemical_formula_sum 'Tm64 Cd16 Pt16'
_cell_length_a 13.489
_cell_length_b 13.489
_cell_length_c 13.489
_cell_angle_alpha 90.00
_cell_angle_beta 90.00
_cell_angle_gamma 90.00
_space_group_name_H-M_alt 'F -4 3 m'
_space_group_IT_number 216
_space_group_name_Hall 'F -4 2 3'
loop_
_atom_site_label
_atom_site_type_symbol
_atom_site_fract_x
_atom_site_fract_y
And this goes back to the title of EPIC FAILS.
As 2020 rocks on and you start full of beans and ready for a new decade, give yourself permission to fail. Give yourself permission to be mediocre sometimes. Nothing annoys me more than disingenuous quotes or memes on Instagram about how blissfully happy humans can be just by imagining it. I’m the first to realise that meditation and gratitudes go hand in hand with actual hard work. Not a bunch of selfies at a hipster cafe. Nope! Be mediocre if you need to be. Have a pyjama day if you know that’s going to get you out of the rut you’re feeling stuck in (unless you have toddlers and then it might just have to be an episode of Bitz and Bob, or Frozen for the 50th time!).
Failing actually helps us to be better! Better humans, better friends and better parents.
I am not suggesting that you now have an excuse to be lazy and not do the things you said you would, while feigning tiredness from staying up till 3am binging on Netflix. I am just suggesting that if you’re struggling, as most of us do and rarely tell others about, it’s okay. And if you try and you fail, you will be okay. When you feel strong enough, just get back up, brush off those war wounds and try again.
And right now you’ll most likely be in the thick of it with setting goals and acting planning. It’s a new year (a new decade even) and it’s time to get your goals on. This is the time when we promise ourselves that this year WE WILL BE DIFFERENT and even better than the previous years. This year we will smash those goals we have put on our to do list year after year. This year we WILL conquer all.
Auditions will be tricking in and everyone will have that glimmer of hope in their sparkling actor eyes.
And you’ll be reading all of your favourite bloggers and they’ll all be shouting about goals and what to do and how to dissect your business and life and get it all down on paper, and it makes you dizzy with excitement and terror in equal portions.
But I’m here to suggest otherwise.
It’s nearly the end of the first month of the new year. It’s so freaking early in the year that old Christmas trees are still lying on the ground of London pavements waiting to be collected. Hell, some humans aren’t even out of holiday mode it’s that early in the new year. So I say give yourself a break. Take a well needed rest and instead of frantically putting pen to paper and trying to reinvent your resolutions why don’t you spend the next few days checking in with yourself on what went well last year. Where did you smash it? What did you love? Why was it so fantastic? If you’ve read CREATE you’ll know all about this exercise as it’s one of the opening exercises in the book.
I want you to consider doing this because you can’t realise your goals fully and truly if you haven’t looked at the previous year(s). What you earned before matters; How many auditions you had last year matters; How many wonderful jobs you booked matters.
For the remainder of this week and weekend, set yourself some time to go through what you’ve done so far in the last decade. Don’t set your goals yet (unless you already have). Breathe and relax. Take time to really take stock of your circumstances and life right now. And then in a week’s time, upon reflection, you’ll be all set to go. You will know what went well, what you loved, what kept you feeling amazing about 2019 and how you want those important things to help shape your 2020.
If you’re stuck, hit me up! I’m really good to chat to at about 3-4am while I’m breastfeeding my newborn (wink wink).